
A Python implementation of fuzzy extractor

fuzzy, extractor, security
pip install fuzzy-extractor==0.3


Fuzzy Extractor

A Python implementation of fuzzy extractor.


Fuzzy extractors are a cryptography primitive designed to reliably derive keys from noisy sources. This makes them suitable for areas like biometric authentication where two measurements of the same subject can yield slightly different values. This implementation uses hamming distance as its error metric, meaning that two binary strings will produce the same key with very high probability if their hamming distance is within some given threshold.

The storage and retrieval of keys is performed using a primitive known as a digital locker. More information is available in the references section of this documentation.

Note that this is a probabilistic primitive based on very recent research. Use this library in real security applications at your own risk, ideally after performing some empirical evaluation for your chosen thresholds.


This library can be install from pip:

$ pip install fuzzy-extractor


This repository comes with a Makefile to help with getting a development environment configured:

$ make help

(Next to the article, the page also holds crystal structures)
+++
# 1
A relaxed LaTa2Pb crystal. Source: Alexandria, functional PBE-GGA.

Cell lengths 8.4078, 8.4078, 6.6566 Å; angles 50.84, 50.84, 90.00 degrees
Fractional coordinates of all 8 atoms:
Pb  0.0000  0.0000  0.0000
Pb  0.7500  0.2500  0.5000
La  0.5000  0.5000  0.0000
La  0.2500  0.7500  0.5000
Ta  0.6614  0.1250  0.2500
Ta  0.0886  0.6250  0.2500
Ta  0.3750  0.3386  0.7500
Ta  0.8750  0.9114  0.7500

Summary:
* calculated total energy: -7.03 eV/atom
* ΔE_f: 102 kJ/mol of atoms
* crystal system: tetragonal


# 2
A relaxed LiAuSe2 crystal. Source: Alexandria, functional PBE-GGA.

Cell lengths 4.7743, 4.7743, 4.7743 Å; angles 60.00, 60.00, 60.00 degrees
Fractional coordinates of all 4 atoms:
Au  0.5000  0.5000  0.5000
Se  0.2500  0.2500  0.2500
Se  0.7500  0.7500  0.7500
Li  0.0000  0.0000  0.0000

Summary:
* calculated total energy: -3.12 eV/atom
* ΔE_f (raw): -0.0828 eV per atom
* crystal system: cubic


# 3
A relaxed Nd12SmHo7 crystal. Source: Alexandria, functional PBE-GGA.

Cell lengths 6.2298, 11.5437, 11.5437 Å; angles 116.84, 100.36, 100.36 degrees
Fractional coordinates of all 20 atoms:
Nd  0.0880  0.5881  0.1752
Nd  0.0872  0.1752  0.5872
Nd  0.5819  0.6459  0.9994
Nd  0.4176  0.9994  0.3535
Nd  0.5001  0.4128  0.5881
Nd  0.0641  0.6465  0.6459
Nd  0.9359  0.3535  0.3541
Nd  0.4999  0.5872  0.4119
Nd  0.5824  0.0006  0.6465
Nd  0.4181  0.3541  0.0006
Nd  0.9128  0.8248  0.4128
Nd  0.9120  0.4119  0.8248
Sm  0.0000  0.0000  0.0000
Ho  0.1253  0.7545  0.9992
Ho  0.8739  0.9992  0.2448
Ho  0.6292  0.7552  0.7545
Ho  0.5000  0.0000  0.0000
Ho  0.3708  0.2448  0.2455
Ho  0.1261  0.0008  0.7552
Ho  0.8747  0.2455  0.0008

Summary:
* calculated total energy: -4.45 eV/atom
* ΔE_f: 24 kJ/mol of atoms
* crystal system: trigonal
* offset from the most stable computed form: 94 meV per atom


# 4
A relaxed Nd5Tm4Sc2 crystal. Source: Alexandria, functional PBE-GGA.

Cell lengths 3.5627, 9.0144, 10.9784 Å; angles 87.43, 90.00, 90.00 degrees
Fractional coordinates of all 11 atoms:
Nd  0.0000  0.4382  0.3319
Nd  0.0000  0.8468  0.1398
Nd  0.0000  0.5000  0.0000
Nd  0.0000  0.1532  0.8602
Nd  0.0000  0.5618  0.6681
Tm  0.5000  0.2410  0.5750
Tm  0.5000  0.8089  0.8627
Tm  0.5000  0.7590  0.4250
Tm  0.5000  0.1911  0.1373
Sc  0.0000  0.9330  0.6294
Sc  0.0000  0.0670  0.3706

Summary:
* calculated total energy: -4.87 eV/atom
* ΔE_f: 8 kJ/mol of atoms
* crystal system: monoclinic
* offset from the most stable computed form: 0 meV per atom


# 5
A relaxed TaFe2Re crystal. Source: Alexandria, functional PBE-GGA.

Cell lengths 4.3167, 4.3167, 4.3167 Å; angles 60.00, 60.00, 60.00 degrees
Fractional coordinates of all 4 atoms:
Fe  0.0000  0.0000  0.0000
Fe  0.2500  0.2500  0.2500
Re  0.5000  0.5000  0.5000
Ta  0.7500  0.7500  0.7500

Summary:
* calculated total energy: -10.27 eV/atom
* ΔE_f: 4 kJ/mol of atoms
* crystal system: cubic


# 6
A relaxed Cs3NaPb2F9 crystal. Source: Alexandria, functional PBE-GGA.
+++
(Back to the article)


Getting Started

This section will cover the basics of using fuzzy extractors. First, we need to create an extractor:

from fuzzy_extractor import FuzzyExtractor

extractor = FuzzyExtractor(16, 8)

The extractor we just created will accept 16 byte (128-bit) input values and guarantees that inputs within 8 bits of each other will produce the same key with over 0.9999 probability (see the references for more details).

We're now ready to generate a key for some input:

key, helper = extractor.generate('AABBCCDDEEFFGGHH')

Note that generate() returned two things: key and helper. The former is the secret that can now be used for further cryptography. The latter does not need to be protected (i.e., it is not a secret), but it does need to be stored somewhere if we want to be able to reproduce the same key later.

As long as we have the public helper, we can reproduce the key with any input close enough to the original:

r_key = extractor.reproduce('AABBCCDDEEFFGGHH', helper)  # r_key should equal key
r_key = extractor.reproduce('AABBCCDDEEFFGGHI', helper)  # r_key will probably still equal key!
r_key = extractor.reproduce('AAAAAAAAAAAAAAAA', helper)  # r_key is no longer likely to equal key


See the doc directory for documentation.


  • Canetti, Ran, et al. "Reusable fuzzy extractors for low-entropy distributions." Annual International Conference on the Theory and Applications of Cryptographic Techniques. Springer, Berlin, Heidelberg, 2016.